Sipping ?



Jan 2, 2008
Last year when i was fishing the susky, i noticed breaks in the surface. It wasn't the typical smallmouth flying out of the water though. I kept pay attention to where these sips where occuring. And i did see a couple more.
Now, my question is what was doing the sipping ?
I didn't think smallmouth sipped nor any fish found in the susky.
I was just below the mouth of a stocked stream, but it was August.
And no i didn't have my fly pole (i regret that every time i think about this evening) I would imagine also I wouldn't be asking this either if i had it. I would have most likly caught the mystery sippers.
My guess would be fallfish or chubs.
I have seen smallies sip, blue gills and even crappies sip...carp sip, fall fish and chubs sip as Mkern said.
I agree with MKern. I'd bet money you were seeing fallfish. In my experience, fallfish feed on the surface in big rivers much more than bass. While big bass will "sip" small insects, I think this is rarer than folks think. Most bass that sip little stuff are YOY fish under about 8" in length.
On the bright sided, fallfish are a ton of fun on a fly rod (very underrated fish). A sipping 10" fallfish will take a well presented fly and will fight very hard - better on average than a similar sized trout.
Fishidiot wrote:
. Most bass that sip little stuff are YOY fish under about 8" in length.

He never said they were big...and yes, fall fish can be fun..especially if they are the only thing biting.
I have never heard of fallfish.
Fallfish winkipedia

Maybe, i hope i see that again when i have my "tippet tosser" in my hand.

Ya learn something new everyday.

Thanks guys.
you'd be surprised at what a grown bass would feed on. I was last year. I caught several one afternoon on the Schuylkill on spinners last year. All of them had literally hundreds of bugs stuck to their gills in inside of their mouths. Caddis and small mayflies mostly, many in the dry/emerger stage. These fish were in the 2-3 lb range.... suprised to say the least.

I noted the date and plan on swinging some small wets for them in a couple months.
I hear ya Bam..some rules were made to be broke and every rule has its exception. I was always told (even though I knew it was crap) that crappies only eat minnows in the 1 1/2 to 2 inch range. I spent a morning in a snow fall picking a dozen or so off one by one on dry flies. I don;t rule anything out. Jay will tell can catch trout on an Adams in a sulfur hatch...anything can happen if you play it out right and throw in a little luck. I love it when some people say this is the way you do things and any other way is incorrect and yada, yada, yada...yeah, except when it isn't! Shut up and fish.
Yea-who, in Da Valley they are called "chubs". Because I'm originally from there, I still call them chubs.

The standard joke was, before all the waste treatment plants were put in, was "watch out for the brown chubs!"

I would guess the risers were chubs, but could have been panfish such as sunnies or rock bass. Also, many times the YOY bass feed in the shallows on insects.

If it were in the evening during the white fly hatch, larger bass could have been feeding on them. My experience has been that it usually takes a pretty dense hatch of white flies to interest the bigger smallies. As a matter of fact Fishidiot and I fished the NB of the Susky right at the beginning of the white fly hatch. There were a few bugs here and there at dark, but very few risers. If we fished a few days later I would bet we would have had a ball fishing on top.

FYI. Here is a videos on fishing the white fly hatch on the Susky:

Here is a video on tying the flies:
Here's a thread on fallfish from awhile back. You can link from this thread to another one that has photos that will allow you to recognize fallfish.
I have seen that video on the white fly hatch in the past. I haven't been able too take advantage of it yet.
Joe Ackourey is the guide that taught the fly tying class i took. He is a great person and awsome teacher. I would like to take more tying classes and also a day of fishing with him that he teaches entomology/casting/presentation/wade tech./etc.. His class really shortened the learning curve in my tying. He showed us about 15 different patterns that included comparadun wings, spin deer hair and a couple of his own techniques.
[color=CC0000]If anyone from the northeast PA is interested in the tying class or Fishing class, or if your not from the area and want too fish the Area i highly recommend Joe.[/color]

Ackourey and Sons

Between Joe, Afishando, and [color=FF0000]most[/color] of the PAFF member picking up this habit has been very zimple.

Afishando's advise has not steered me wrong yet either. I have noticed "afish" make many refrences to Mr. LaFontaine, so i have been reading his work. One thing that Gary says that strikes me is "give the fish something to key on."

I think i just highjacked my own thread. Is that okay ?
I noticed that happen quite alot around here. After about 4 or 5 posts in a thread it kinda drifts off topic.

- - -
CH3OS2 | wB97M-V/def2-TZVPD

Last column: Löwdin charge in e.
Cartesian coordinates (Å):
C -1.660 0.025 -0.056  0.00
O 2.076 -1.561 -0.409  -0.78
S 2.410 1.295 -0.079  -0.23
S 1.638 -0.482 0.483  0.08
H -0.919 0.033 -0.933  -0.01
H -2.360 0.854 -0.015  -0.06
H -1.185 -0.164 1.010  -0.01

Its energy above the lowest of the compared OMol25 structures with the same formula, charge and spin is 174.1 kJ/mol. The calculation puts the energy at -24802.2292 eV. As for the charge: -1. The calculation puts the LUMO energy (spin up / spin down) at 3.9 / 3.1 eV. The orbital gap (spin up / spin down) is 7.70 / 5.29 eV. The largest force on an atom is 2.76 eV/Å.


C5H12O3 | wB97M-V/def2-TZVPD

Last column: Löwdin charge in e.
Cartesian coordinates (Å):
C -2.255 -1.068 1.973  0.01
C -2.397 -0.761 0.684  -0.16
C -1.264 -0.870 -0.262  -0.13
C 0.052 -0.966 -0.133  -0.09
C 1.004 -1.039 -1.293  -0.25
O 2.287 -0.632 -0.823  -0.07
H -1.388 -1.570 2.384  0.06
H -3.038 -0.844 2.688  0.05
H -3.249 -0.195 0.341  0.09
H -1.571 -0.841 -1.316  0.11
H 0.510 -1.001 0.850  0.11
H 0.649 -0.530 -2.194  0.12
H 1.034 -2.030 -1.802  0.13
H 2.899 -1.330 -0.938  0.07
O -0.438 2.696 -0.393  -0.09
H -0.108 3.555 -0.760  0.05
H 0.422 2.362 -0.102  -0.03
O 2.122 2.061 0.405  -0.06
H 2.684 1.559 1.027  0.07
H 2.045 1.445 -0.335  0.02

Its energy above the lowest of the compared OMol25 structures with the same formula, charge and spin is 252.3 kJ/mol. The calculation puts the energy at -11520.1512 eV. The calculation puts the LUMO energy at 0.5 eV. The orbital gap is 9.31 eV. The largest force on an atom is 2.02 eV/Å. The SMILES is C=C/C=C/CO.O.O.


H4P4S | wB97M-V/def2-TZVPD

Last column: Löwdin charge in e.
Cartesian coordinates (Å):
P -0.773 1.520 -0.617  0.42
P -0.170 -0.656 -0.747  -0.11
P 1.659 -1.311 0.255  0.41
P -1.639 -1.719 0.214  0.24
S -3.390 0.170 0.437  -0.24
H 0.399 2.083 -0.703  -0.24
H -0.801 1.226 0.807  -0.16
H 2.261 -0.231 1.144  -0.09
H 2.453 -1.082 -0.790  -0.23

Its energy above the lowest of the compared OMol25 structures with the same formula, charge and spin is 299.0 kJ/mol. The calculation puts the energy at -48050.9953 eV. The calculation puts the LUMO energy at -2.4 eV. The orbital gap is 5.85 eV. The largest force on an atom is 4.62 eV/Å. The SMILES is PP(P)#P=S.


CH16N2O5 | wB97M-V/def2-TZVPD

Last column: Löwdin charge in e.
Cartesian coordinates (Å):
N -0.627 3.462 0.994  -0.01
C 0.181 3.308 -0.235  -0.36
N -0.218 2.166 -1.017  0.00
H -0.010 3.698 1.753  0.05
H -1.177 2.643 1.204  0.04
H -0.010 4.196 -0.834  0.10
H 1.232 3.243 0.039  0.09
H -0.781 1.482 -0.533  0.02
H -0.774 2.473 -1.803  0.06
O 0.458 -0.631 -3.476  -0.07
H 0.453 -0.210 -2.610  0.01
H 0.967 -0.053 -4.049  0.03
O -4.557 -1.919 1.798  -0.06
H -3.620 -1.722 1.687  0.01
H -4.563 -2.872 1.947  0.04
O 2.286 -2.607 3.406  -0.05
H 1.419 -2.205 3.380  0.03
H 2.810 -2.415 2.630  0.03
O -2.395 0.210 0.638  -0.04
H -3.019 0.785 0.182  0.06
H -2.433 -0.572 0.097  0.03
O 4.590 -4.324 -1.974  -0.06
- - -

I know i'm guilty of it too.

Anywho, the sun is blazing and i have no Greenie Weenies fur the "tourist trout". I got to go and ty some of them up, but first i have to wash my hands with [color=339900]"Hunter Specialties, Scent-A-Way"[/color] soap. Then I'm gunna ty some with Chennille and some with pipe cleaner. They don't get a chance too rust because they are
bouncing on the bottom and hopefully hooking fish, that I'm counting to measure myself against other anglers and becoming "etarded". So i have to sharpen the hooks and Retie.
I've seen smallmouth bass sipping in the Susquehannah many times , big ones too , the whitefly hatch provided a few of these incidents and i also remember seeing them when there wasn't a visible hatch going on , what it looked like to me was midging.
Everybody knows about the white fly hatch on the warmwater rivers, but what other major hatches are there? How early in the year do you see both insects and surface feeding fish? Has anyone ever created a warmwater river hatch chart? I've never seen one.

On Bald Eagle Creek, above Milesburg, smallmouth bass come right up and take size 16 sulphurs. I've seen only rather small bass doing this.

But a friend of mine caught a 21 inch smallmouth on a #14 Light Cahill on Loyalsock Creek during a Cahill hatch. I'm very jealous.
troutbert wrote:
Everybody knows about the white fly hatch on the warmwater rivers, but what other major hatches are there? How early in the year do you see both insects and surface feeding fish? Has anyone ever created a warmwater river hatch chart? I've never seen one.

On Bald Eagle Creek, above Milesburg, smallmouth bass come right up and take size 16 sulphurs. I've seen only rather small bass doing this.

But a friend of mine caught a 21 inch smallmouth on a #14 Light Cahill on Loyalsock Creek during a Cahill hatch. I'm very jealous.

Hit the Skuke in late April and May and you would think your on a central Pa limestoner with all the rises and hatches :-D
I did well on SMB on penns, during the green drakes. Every piece of bumpy water for 5 miles had a dozen anglers on it. I saw rising bass in the frog water, and figured it was good enough. I caught about ten of them from 8 to 15 inches. Long casts and tough drifts. They refused me once or twice, too.

It wasn't bad.

I worked at a gas station next to the river when I was a kid. Granted, it was close to hay creek, as well. There were tons of sulphurs all spring, and into summer. I am positive that some of them came from the river, as I had seen them hatching there.
Fredrick wrote:
troutbert wrote:
Everybody knows about the white fly hatch on the warmwater rivers, but what other major hatches are there? How early in the year do you see both insects and surface feeding fish? Has anyone ever created a warmwater river hatch chart? I've never seen one.

The article is interrupted by records of molecules
Here is C6H9N in the gas phase from the Open Molecules 2025 dataset. Energies are from ωB97M-V with the def2-TZVPD basis set.

Output
Gap between HOMO and LUMO: 9.71 eV
2S+1: 1
Max |F|: 0.56 eV Å⁻¹
Energy relative to the best compared isomer or geometry (same formula, charge and spin): 47.37 kcal per mole
SMILES: CC1=CNC=CC1

Geometry as XYZ:
```
16
C6H9N | the Open Molecules 2025 dataset | ωB97M-V with the def2-TZVPD basis set
C 1.76999 -0.95479 0.75774
C 0.54164 -0.47463 0.04632
C 0.46661 0.85145 -0.70611
C -0.75824 1.54119 -0.13165
C -1.85207 0.78508 -0.08976
N -1.74518 -0.56713 -0.58874
C -0.62529 -1.10968 0.14279
H 1.56638 -1.10609 1.82450
H 2.61890 -0.27244 0.66346
H 2.05423 -1.92085 0.33441
H 1.38175 1.44594 -0.63563
H 0.30356 0.69185 -1.78723
H -0.65816 2.48399 0.39010
H -2.76631 0.98471 0.45533
H -1.42641 -0.51416 -1.56099
H -0.87139 -1.86443 0.88546
```

Results of the natural (NBO) charge analysis, in e, for atoms 1 through 2: number 1, C, carries -0.644; number 2, C, carries 0.000


Here is C6H9N in the gas phase from the Open Molecules 2025 dataset. Energies are from ωB97M-V with the def2-TZVPD basis set.

Output
Gap between HOMO and LUMO (spin up / spin down): 7.61 / 7.61 eV
2S+1: 1
Max |F|: 0.32 eV Å⁻¹
Energy relative to the best compared isomer or geometry (same formula, charge and spin): 152.46 kcal per mole

Geometry as XYZ:
```
16
C6H9N | the Open Molecules 2025 dataset | ωB97M-V with the def2-TZVPD basis set
C 2.88041 0.54752 0.23503
C 2.02025 -0.66519 0.19317
C 0.90891 -0.85504 -0.45973
C -0.45647 -0.88996 -0.71855
N -1.46193 -0.64711 0.21196
C -2.60116 0.16637 -0.15266
C -1.60856 0.63456 0.86049
H 3.60394 0.44657 -0.58604
H 3.47607 0.59232 1.15322
H 2.36452 1.51123 0.09124
H -0.82158 -1.33077 -1.64524
H 0.64098 -1.99009 -0.70070
H -3.57306 -0.20813 0.16019
H -2.58184 0.65620 -1.12597
H -0.93031 1.43393 0.56622
H -1.86017 0.59756 1.91736
```

Results of the natural (NBO) charge analysis, in e, for atoms 1 through 2: number 1, C, carries -0.692; number 2, C, carries -0.023

----------

A 9-piece molecular cluster, C29H54N4O17P2 overall. Source: the Open Molecules 2025 dataset; level of theory: ωB97M-V/def2-TZVPD.

```
106
Properties=species:S:1:pos:R:3:lowdin_charge:R:1
C -4.92 -1.77 6.76 -0.0653
C -5.39 -1.40 5.36 -0.2535
O -4.97 -2.41 4.41 -0.1831
P -5.17 -2.09 2.87 0.4074
O -6.51 -1.57 2.48 -0.2351
O -4.72 -3.44 2.15 -0.1893
C -5.33 -4.71 2.40 -0.2565
C -6.85 -4.71 2.22 -0.0759
O -4.01 -1.04 2.57 -0.1816
C -3.87 -0.48 1.26 -0.2394
C -3.15 -1.47 0.34 -0.0709
H -5.68 -2.39 7.22 0.0767
H -4.05 -2.41 6.59 0.0826
H -4.62 -0.91 7.34 0.0763
H -6.48 -1.38 5.35 0.1205
H -4.89 -0.48 5.03 0.1163
H -4.88 -5.40 1.69 0.1144
H -5.07 -5.10 3.39 0.1183
H -7.35 -4.05 2.93 0.0673
H -7.07 -4.35 1.22 0.0831
H -7.25 -5.72 2.25 0.0794
H -4.84 -0.18 0.88 0.1175
H -3.23 0.40 1.37 0.1086
H -3.84 -2.22 -0.07 0.0739
H -2.57 -1.02 -0.46 0.0731
H -2.44 -2.07 0.90 0.0507
C 2.83 5.28 2.91 -0.0637
C 3.58 5.79 1.67 -0.2788
O 4.97 5.50 1.78 -0.1690

On Bald Eagle Creek, above Milesburg, smallmouth bass come right up and take size 16 sulphurs. I've seen only rather small bass doing this.

But a friend of mine caught a 21 inch smallmouth on a #14 Light Cahill on Loyalsock Creek during a Cahill hatch. I'm very jealous.

Hit the Skuke in late April and May and you would think your on a central Pa limestoner with all the rises and hatches :-D

What's hatching that early in the year? Caddis? Mayflies? I generally get on the warmwater rivers much later in the season.
It has a nice Cahill hatch around that time and good caddis hatches all year . I think documenting warmwater hatches would be something a lot of fly fisherman would be intrested in. Or a book on warwater fly fishing for the area :-D
I live pretty close to da susky, what ever is hatching there is usually flying around my yard and landing on my door screen and such. I have not seen may flies yet but i have seen black stoneflies for a week or so. I took a picture of one, but it landed on something grey, so it not that great.
jayL wrote:
I saw rising bass in the frog water,.

Alright, I admit it. I have no clue what "frog water" means, but I've seen it in reference to more than one stream.

Edumacate me!